Wanted.
Retype the whole of the lines underneath with every line break kept, please.

Entries.
********
Structure and computed powder XRD pattern of Ac5Ir2Ru (the GGA-PBE geometry in Alexandria; λ = 1.5418 Å (Cu Kα)).
Kinematic intensities with the Lorentz-polarization factor, no thermal factor.

Cell and atoms:
```
Ac5Ir2Ru
1.0
2.9501 -6.9227 0.0000
2.9501 6.9227 0.0000
0.0000 0.0000 14.5248
Ac Ir Ru
10 4 2
Direct
0.0515 0.9485 0.6197
0.0515 0.9485 0.8803
0.2587 0.7413 0.2500
0.3272 0.6728 0.5678
0.3272 0.6728 0.9322
0.6728 0.3272 0.0678
0.6728 0.3272 0.4322
0.7413 0.2587 0.7500
0.9485 0.0515 0.1197
0.9485 0.0515 0.3803
0.1484 0.8516 0.0623
0.1484 0.8516 0.4377
0.8516 0.1484 0.5623
0.8516 0.1484 0.9377
0.1990 0.8010 0.7500
0.8010 0.1990 0.2500
```

Most intense lines, 10° ≤ 2θ ≤ 80°, low angle first:
2θ 12.8, rel. 29; 2θ 16.3, rel. 73; 2θ 22.4, rel. 53; 2θ 27.7, rel. 38; 2θ 28.6, rel. 30; 2θ 30.3, rel. 100; 2θ 31.8, rel. 80; 2θ 33.5, rel. 31; 2θ 38.0, rel. 33; 2θ 44.5, rel. 64


Structure and computed powder XRD pattern of AcSi3IrRu (the GGA-PBE geometry in Alexandria; λ = 1.5418 Å (Cu Kα)).
Kinematic intensities with the Lorentz-polarization factor, no thermal factor.

Cell and atoms:
```
AcSi3IrRu
1.0
3.2142 -6.1862 0.0000
3.2142 6.1862 0.0000
0.0000 0.0000 6.1100
Ac Si Ir Ru
2 6 2 2
Direct
0.2354 0.7646 0.7500
0.7646 0.2354 0.2500
0.2152 0.7848 0.2500
0.2890 0.2890 0.0000
0.2890 0.2890 0.5000
0.7110 0.7110 0.0000
0.7110 0.7110 0.5000
0.7848 0.2152 0.7500
0.3960 0.6040 0.2500
0.6040 0.3960 0.7500
0.0380 0.9620 0.2500
0.9620 0.0380 0.7500
```

Most intense lines, 10° ≤ 2θ ≤ 80°, low angle first:
2θ 20.4, rel. 17; 2θ 27.8, rel. 38; 2θ 29.2, rel. 32; 2θ 29.6, rel. 100; 2θ 39.0, rel. 14; 2θ 40.7, rel. 40; 2θ 49.5, rel. 17; 2θ 50.3, rel. 24; 2θ 52.1, rel. 21; 2θ 67.4, rel. 10


Structure and computed powder XRD pattern of AcSi2IrRu (the GGA-PBE geometry in Alexandria; λ = 1.5418 Å (Cu Kα)).
Kinematic intensities with the Lorentz-polarization factor, no thermal factor.

Cell and atoms:
```
AcSi2IrRu
1.0
-2.1151 2.1151 5.2777
2.1151 -2.1151 5.2777
2.1151 2.1151 -5.2777
Ac Si Ir Ru
1 2 1 1
Direct
0.0000 0.0000 0.0000
0.3603 0.3603 0.0000
0.6397 0.6397 0.0000
0.7500 0.2500 0.5000
0.2500 0.7500 0.5000
```

Most intense lines, 10° ≤ 2θ ≤ 80°, low angle first:
2θ 22.6, rel. 45; 2θ 33.1, rel. 35; 2θ 34.0, rel. 22; 2θ 34.5, rel. 100; 2θ 42.8, rel. 36; 2θ 48.9, rel. 13; 2θ 55.1, rel. 17; 2θ 55.7, rel. 22; 2θ 61.1, rel. 23; 2θ 73.0, rel. 23


Structure and computed powder XRD pattern of Ac9Ir4S2 (the GGA-PBE geometry in Alexandria; λ = 1.5418 Å (Cu Kα)).
Kinematic intensities with the Lorentz-polarization factor, no thermal factor.

Cell and atoms:
```
Ac9Ir4S2
1.0
7.5594 0.0000 0.0000
-3.7797 6.5466 0.0000
0.0000 0.0000 21.0064
Ac Ir S
18 8 4
Direct
0.0000 0.3349 0.2500
0.0000 0.6651 0.7500
0.0115 0.3516 0.5813
0.0115 0.6599 0.0813
0.3349 0.0000 0.2500
0.3349 0.3349 0.7500
0.3401 0.3516 0.0813
0.3401 0.9885 0.5813
0.3516 0.0115 0.9187
0.3516 0.3401 0.4187
0.6484 0.6599 0.5813
0.6484 0.9885 0.0813
0.6599 0.0115 0.4187
0.6599 0.6484 0.9187
0.6651 0.0000 0.7500
0.6651 0.6651 0.2500
0.9885 0.3401 0.9187
0.9885 0.6484 0.4187
0.3333 0.6667 0.1710
0.3333 0.6667 0.4945
0.3333 0.6667 0.6710
0.3333 0.6667 0.9945
0.6667 0.3333 0.0055
0.6667 0.3333 0.3290
0.6667 0.3333 0.5055
0.6667 0.3333 0.8290
0.0000 0.0000 0.1634
0.0000 0.0000 0.3366
0.0000 0.0000 0.6634
0.0000 0.0000 0.8366
```

Most intense lines, 10° ≤ 2θ ≤ 80°, low angle first:
2θ 16.0, rel. 13; 2θ 26.8, rel. 100; 2θ 34.9, rel. 56; 2θ 41.4, rel. 42; 2θ 45.7, rel. 24; 2θ 50.0, rel. 18; 2θ 55.2, rel. 15; 2θ 66.8, rel. 15; 2θ 68.7, rel. 18; 2θ 71.3, rel. 14


Structure and computed powder XRD pattern of Ac5IrS4 (the GGA-PBE geometry in Alexandria; λ = 1.5418 Å (Cu Kα)).
Kinematic intensities with the Lorentz-polarization factor, no thermal factor.

Cell and atoms:
```
Ac5IrS4
1.0
-2.1357 3.0834 11.0377
2.1357 -3.0834 11.0377
2.1357 3.0834 -11.0377
Ac Ir S
5 1 4
Direct
0.0000 0.0000 0.0000
0.2022 0.2022 0.0000
0.4062 0.4062 0.0000
0.5938 0.5938 0.0000
0.7978 0.7978 0.0000
0.5000 0.0000 0.5000
********

Here it is.
Structure and computed powder XRD pattern of Ac5Ir2Ru (the GGA-PBE geometry in Alexandria; λ = 1.5418 Å (Cu Kα)).
Kinematic intensities with the Lorentz-polarization factor, no thermal factor.

Cell and atoms:
```
Ac5Ir2Ru
1.0
2.9501 -6.9227 0.0000
2.9501 6.9227 0.0000
0.0000 0.0000 14.5248
Ac Ir Ru
10 4 2
Direct
0.0515 0.9485 0.6197
0.0515 0.9485 0.8803
0.2587 0.7413 0.2500
0.3272 0.6728 0.5678
0.3272 0.6728 0.9322
0.6728 0.3272 0.0678
0.6728 0.3272 0.4322
0.7413 0.2587 0.7500
0.9485 0.0515 0.1197
0.9485 0.0515 0.3803
0.1484 0.8516 0.0623
0.1484 0.8516 0.4377
0.8516 0.1484 0.5623
0.8516 0.1484 0.9377
0.1990 0.8010 0.7500
0.8010 0.1990 0.2500
```

Most intense lines, 10° ≤ 2θ ≤ 80°, low angle first:
2θ 12.8, rel. 29; 2θ 16.3, rel. 73; 2θ 22.4, rel. 53; 2θ 27.7, rel. 38; 2θ 28.6, rel. 30; 2θ 30.3, rel. 100; 2θ 31.8, rel. 80; 2θ 33.5, rel. 31; 2θ 38.0, rel. 33; 2θ 44.5, rel. 64


Structure and computed powder XRD pattern of AcSi3IrRu (the GGA-PBE geometry in Alexandria; λ = 1.5418 Å (Cu Kα)).
Kinematic intensities with the Lorentz-polarization factor, no thermal factor.

Cell and atoms:
```
AcSi3IrRu
1.0
3.2142 -6.1862 0.0000
3.2142 6.1862 0.0000
0.0000 0.0000 6.1100
Ac Si Ir Ru
2 6 2 2
Direct
0.2354 0.7646 0.7500
0.7646 0.2354 0.2500
0.2152 0.7848 0.2500
0.2890 0.2890 0.0000
0.2890 0.2890 0.5000
0.7110 0.7110 0.0000
0.7110 0.7110 0.5000
0.7848 0.2152 0.7500
0.3960 0.6040 0.2500
0.6040 0.3960 0.7500
0.0380 0.9620 0.2500
0.9620 0.0380 0.7500
```

Most intense lines, 10° ≤ 2θ ≤ 80°, low angle first:
2θ 20.4, rel. 17; 2θ 27.8, rel. 38; 2θ 29.2, rel. 32; 2θ 29.6, rel. 100; 2θ 39.0, rel. 14; 2θ 40.7, rel. 40; 2θ 49.5, rel. 17; 2θ 50.3, rel. 24; 2θ 52.1, rel. 21; 2θ 67.4, rel. 10


Structure and computed powder XRD pattern of AcSi2IrRu (the GGA-PBE geometry in Alexandria; λ = 1.5418 Å (Cu Kα)).
Kinematic intensities with the Lorentz-polarization factor, no thermal factor.

Cell and atoms:
```
AcSi2IrRu
1.0
-2.1151 2.1151 5.2777
2.1151 -2.1151 5.2777
2.1151 2.1151 -5.2777
Ac Si Ir Ru
1 2 1 1
Direct
0.0000 0.0000 0.0000
0.3603 0.3603 0.0000
0.6397 0.6397 0.0000
0.7500 0.2500 0.5000
0.2500 0.7500 0.5000
```

Most intense lines, 10° ≤ 2θ ≤ 80°, low angle first:
2θ 22.6, rel. 45; 2θ 33.1, rel. 35; 2θ 34.0, rel. 22; 2θ 34.5, rel. 100; 2θ 42.8, rel. 36; 2θ 48.9, rel. 13; 2θ 55.1, rel. 17; 2θ 55.7, rel. 22; 2θ 61.1, rel. 23; 2θ 73.0, rel. 23


Structure and computed powder XRD pattern of Ac9Ir4S2 (the GGA-PBE geometry in Alexandria; λ = 1.5418 Å (Cu Kα)).
Kinematic intensities with the Lorentz-polarization factor, no thermal factor.

Cell and atoms:
```
Ac9Ir4S2
1.0
7.5594 0.0000 0.0000
-3.7797 6.5466 0.0000
0.0000 0.0000 21.0064
Ac Ir S
18 8 4
Direct
0.0000 0.3349 0.2500
0.0000 0.6651 0.7500
0.0115 0.3516 0.5813
0.0115 0.6599 0.0813
0.3349 0.0000 0.2500
0.3349 0.3349 0.7500
0.3401 0.3516 0.0813
0.3401 0.9885 0.5813
0.3516 0.0115 0.9187
0.3516 0.3401 0.4187
0.6484 0.6599 0.5813
0.6484 0.9885 0.0813
0.6599 0.0115 0.4187
0.6599 0.6484 0.9187
0.6651 0.0000 0.7500
0.6651 0.6651 0.2500
0.9885 0.3401 0.9187
0.9885 0.6484 0.4187
0.3333 0.6667 0.1710
0.3333 0.6667 0.4945
0.3333 0.6667 0.6710
0.3333 0.6667 0.9945
0.6667 0.3333 0.0055
0.6667 0.3333 0.3290
0.6667 0.3333 0.5055
0.6667 0.3333 0.8290
0.0000 0.0000 0.1634
0.0000 0.0000 0.3366
0.0000 0.0000 0.6634
0.0000 0.0000 0.8366
```

Most intense lines, 10° ≤ 2θ ≤ 80°, low angle first:
2θ 16.0, rel. 13; 2θ 26.8, rel. 100; 2θ 34.9, rel. 56; 2θ 41.4, rel. 42; 2θ 45.7, rel. 24; 2θ 50.0, rel. 18; 2θ 55.2, rel. 15; 2θ 66.8, rel. 15; 2θ 68.7, rel. 18; 2θ 71.3, rel. 14


Structure and computed powder XRD pattern of Ac5IrS4 (the GGA-PBE geometry in Alexandria; λ = 1.5418 Å (Cu Kα)).
Kinematic intensities with the Lorentz-polarization factor, no thermal factor.

Cell and atoms:
```
Ac5IrS4
1.0
-2.1357 3.0834 11.0377
2.1357 -3.0834 11.0377
2.1357 3.0834 -11.0377
Ac Ir S
5 1 4
Direct
0.0000 0.0000 0.0000
0.2022 0.2022 0.0000
0.4062 0.4062 0.0000
0.5938 0.5938 0.0000
0.7978 0.7978 0.0000
0.5000 0.0000 0.5000